Brief.
Your job: give back the material below unchanged.

Excerpt.
- - -
# 1
# C35H55ClO2OsP4Si

C35H55ClO2OsP4Si as an isolated structure in a non-equilibrium geometry (ωB97M-V/def2-TZVPD, the OMol25 dataset).

Properties
LUMO level (alpha / beta)   -0.1942 / -0.2993 Eh
2S+1   5
Orbital gap (alpha / beta)   4.947 / 5.071 eV
Net charge   +2

Last column: Löwdin charge in e.
Positions of all 99 atoms, in Å:
P  -0.792  -4.831  -2.184  1.102
C  -0.173  -6.454  -1.467  -0.292
C  -1.036  -7.541  -1.215  -0.071
H  -2.111  -7.347  -1.198  0.105
C  -0.527  -8.820  -1.046  -0.053
H  -1.228  -9.636  -0.945  0.115
C  0.854  -9.026  -1.029  -0.047
H  1.234  -10.042  -0.956  0.119
C  1.720  -7.940  -1.158  -0.054
H  2.797  -8.088  -1.132  0.117
C  1.218  -6.643  -1.344  -0.078
H  1.894  -5.793  -1.412  0.112
C  -2.588  -5.098  -2.019  -0.342
C  -3.176  -4.867  -0.759  -0.096
H  -2.641  -4.314  0.019  0.088
C  -4.448  -5.375  -0.497  -0.061
H  -4.876  -5.247  0.506  0.120
C  -5.159  -6.053  -1.479  -0.048
H  -6.128  -6.506  -1.272  0.120
C  -4.612  -6.198  -2.757  -0.045
H  -5.130  -6.718  -3.550  0.117
C  -3.353  -5.687  -3.032  -0.068
H  -2.906  -5.775  -4.021  0.108
C  -0.544  -5.247  -3.976  -0.287
C  -0.353  -6.563  -4.433  -0.058
H  -0.088  -7.329  -3.692  0.110
C  -0.533  -6.886  -5.767  -0.018
H  -0.435  -7.921  -6.055  0.127
C  -0.840  -5.873  -6.681  -0.051
H  -1.027  -6.155  -7.714  0.123
C  -0.935  -4.548  -6.257  -0.050
H  -1.160  -3.764  -6.967  0.114
C  -0.755  -4.212  -4.904  -0.083
H  -0.773  -3.177  -4.584  0.083
Os  -0.116  -0.492  -0.119  1.044
C  -1.768  0.454  -0.561  -0.343
C  -2.794  -0.138  -1.198  -0.392
H  -1.691  1.507  -0.338  0.049
C  -2.605  -1.637  -1.449  -0.359
O  -2.844  -1.876  -2.880  -0.062
H  -2.978  -2.814  -3.021  0.056
C  -1.196  -2.128  -1.009  -0.262
H  -3.520  -2.093  -0.956  0.142
C  -0.451  -3.300  -1.376  -0.255
Cl  1.856  -1.591  0.577  0.028
P  0.928  0.250  -2.166  0.713
P  -0.874  -1.260  2.013  0.662
C  2.712  0.580  -1.994  -0.230
H  3.152  -0.270  -1.474  0.013
H  2.858  1.492  -1.415  0.032
H  3.160  0.668  -2.982  0.060
C  0.816  -0.870  -3.591  -0.240
H  -0.236  -1.013  -3.863  0.032
H  1.236  -1.836  -3.292  0.046
H  1.377  -0.463  -4.444  0.067
C  0.246  1.863  -2.645  -0.231
H  0.229  2.532  -1.780  0.039
H  -0.775  1.728  -3.022  0.035
H  0.852  2.328  -3.433  0.068
C  0.023  -0.504  3.390  -0.242
H  -0.239  0.554  3.444  0.045
H  1.094  -0.609  3.206  0.031
H  -0.244  -0.994  4.333  0.070
C  -2.547  -0.651  2.339  -0.240
H  -3.230  -1.031  1.570  0.034
H  -2.551  0.443  2.314  0.054
H  -2.878  -0.989  3.329  0.065
C  -0.759  -3.025  2.347  -0.240
H  0.282  -3.338  2.167  0.036
H  -1.432  -3.575  1.669  0.027
H  -1.029  -3.232  3.396  0.070
P  -4.241  0.815  -1.718  0.877
C  -4.255  2.367  -0.834  -0.166
C  -5.711  -0.148  -1.377  -0.159
H  -3.330  2.934  -1.028  0.070
H  -4.338  2.185  0.251  0.078
H  -5.120  2.964  -1.164  0.083
H  -5.583  -1.172  -1.747  0.066
H  -6.575  0.311  -1.879  0.076
H  -5.901  -0.177  -0.299  0.073
C  -4.092  1.102  -3.472  -0.162
H  -3.488  1.994  -3.674  0.070
H  -5.085  1.252  -3.914  0.073
H  -3.621  0.230  -3.939  0.057
H  0.402  -3.558  -0.624  0.055
C  2.002  2.495  3.177  -0.173
Si  1.295  2.625  1.414  0.300
C  0.025  4.023  1.430  -0.182
C  2.831  3.451  0.630  -0.186
O  0.764  1.243  0.737  -0.524
H  2.811  3.202  3.402  0.043
H  2.410  1.498  3.327  0.018
H  1.249  2.639  3.956  0.026
H  0.377  4.908  1.997  0.051
H  -0.210  4.380  0.412  0.022
H  -0.935  3.718  1.876  0.018
H  3.651  2.730  0.562  0.029
H  2.633  3.816  -0.388  0.021
H  3.205  4.309  1.206  0.045

***

# 2
# C6H15B

A 2-piece molecular cluster, C6H15B overall in a non-equilibrium geometry (ωB97M-V/def2-TZVPD, the OMol25 dataset).

Properties
LUMO level   0.0145 Eh
Energy relative to the best compared isomer or geometry (same formula, charge and spin)   63.3 kcal/mol
Orbital gap   8.929 eV
Net charge   0

Last column: Löwdin charge in e.
Positions of all 22 atoms, in Å:
B  -0.002  0.446  0.131  -0.068
C  -1.794  -1.217  -0.752  -0.086
- - -

Done.
# 1
# C35H55ClO2OsP4Si

C35H55ClO2OsP4Si as an isolated structure in a non-equilibrium geometry (ωB97M-V/def2-TZVPD, the OMol25 dataset).

Properties
LUMO level (alpha / beta)   -0.1942 / -0.2993 Eh
2S+1   5
Orbital gap (alpha / beta)   4.947 / 5.071 eV
Net charge   +2

Last column: Löwdin charge in e.
Positions of all 99 atoms, in Å:
P  -0.792  -4.831  -2.184  1.102
C  -0.173  -6.454  -1.467  -0.292
C  -1.036  -7.541  -1.215  -0.071
H  -2.111  -7.347  -1.198  0.105
C  -0.527  -8.820  -1.046  -0.053
H  -1.228  -9.636  -0.945  0.115
C  0.854  -9.026  -1.029  -0.047
H  1.234  -10.042  -0.956  0.119
C  1.720  -7.940  -1.158  -0.054
H  2.797  -8.088  -1.132  0.117
C  1.218  -6.643  -1.344  -0.078
H  1.894  -5.793  -1.412  0.112
C  -2.588  -5.098  -2.019  -0.342
C  -3.176  -4.867  -0.759  -0.096
H  -2.641  -4.314  0.019  0.088
C  -4.448  -5.375  -0.497  -0.061
H  -4.876  -5.247  0.506  0.120
C  -5.159  -6.053  -1.479  -0.048
H  -6.128  -6.506  -1.272  0.120
C  -4.612  -6.198  -2.757  -0.045
H  -5.130  -6.718  -3.550  0.117
C  -3.353  -5.687  -3.032  -0.068
H  -2.906  -5.775  -4.021  0.108
C  -0.544  -5.247  -3.976  -0.287
C  -0.353  -6.563  -4.433  -0.058
H  -0.088  -7.329  -3.692  0.110
C  -0.533  -6.886  -5.767  -0.018
H  -0.435  -7.921  -6.055  0.127
C  -0.840  -5.873  -6.681  -0.051
H  -1.027  -6.155  -7.714  0.123
C  -0.935  -4.548  -6.257  -0.050
H  -1.160  -3.764  -6.967  0.114
C  -0.755  -4.212  -4.904  -0.083
H  -0.773  -3.177  -4.584  0.083
Os  -0.116  -0.492  -0.119  1.044
C  -1.768  0.454  -0.561  -0.343
C  -2.794  -0.138  -1.198  -0.392
H  -1.691  1.507  -0.338  0.049
C  -2.605  -1.637  -1.449  -0.359
O  -2.844  -1.876  -2.880  -0.062
H  -2.978  -2.814  -3.021  0.056
C  -1.196  -2.128  -1.009  -0.262
H  -3.520  -2.093  -0.956  0.142
C  -0.451  -3.300  -1.376  -0.255
Cl  1.856  -1.591  0.577  0.028
P  0.928  0.250  -2.166  0.713
P  -0.874  -1.260  2.013  0.662
C  2.712  0.580  -1.994  -0.230
H  3.152  -0.270  -1.474  0.013
H  2.858  1.492  -1.415  0.032
H  3.160  0.668  -2.982  0.060
C  0.816  -0.870  -3.591  -0.240
H  -0.236  -1.013  -3.863  0.032
H  1.236  -1.836  -3.292  0.046
H  1.377  -0.463  -4.444  0.067
C  0.246  1.863  -2.645  -0.231
H  0.229  2.532  -1.780  0.039
H  -0.775  1.728  -3.022  0.035
H  0.852  2.328  -3.433  0.068
C  0.023  -0.504  3.390  -0.242
H  -0.239  0.554  3.444  0.045
H  1.094  -0.609  3.206  0.031
H  -0.244  -0.994  4.333  0.070
C  -2.547  -0.651  2.339  -0.240
H  -3.230  -1.031  1.570  0.034
H  -2.551  0.443  2.314  0.054
H  -2.878  -0.989  3.329  0.065
C  -0.759  -3.025  2.347  -0.240
H  0.282  -3.338  2.167  0.036
H  -1.432  -3.575  1.669  0.027
H  -1.029  -3.232  3.396  0.070
P  -4.241  0.815  -1.718  0.877
C  -4.255  2.367  -0.834  -0.166
C  -5.711  -0.148  -1.377  -0.159
H  -3.330  2.934  -1.028  0.070
H  -4.338  2.185  0.251  0.078
H  -5.120  2.964  -1.164  0.083
H  -5.583  -1.172  -1.747  0.066
H  -6.575  0.311  -1.879  0.076
H  -5.901  -0.177  -0.299  0.073
C  -4.092  1.102  -3.472  -0.162
H  -3.488  1.994  -3.674  0.070
H  -5.085  1.252  -3.914  0.073
H  -3.621  0.230  -3.939  0.057
H  0.402  -3.558  -0.624  0.055
C  2.002  2.495  3.177  -0.173
Si  1.295  2.625  1.414  0.300
C  0.025  4.023  1.430  -0.182
C  2.831  3.451  0.630  -0.186
O  0.764  1.243  0.737  -0.524
H  2.811  3.202  3.402  0.043
H  2.410  1.498  3.327  0.018
H  1.249  2.639  3.956  0.026
H  0.377  4.908  1.997  0.051
H  -0.210  4.380  0.412  0.022
H  -0.935  3.718  1.876  0.018
H  3.651  2.730  0.562  0.029
H  2.633  3.816  -0.388  0.021
H  3.205  4.309  1.206  0.045

***

# 2
# C6H15B

A 2-piece molecular cluster, C6H15B overall in a non-equilibrium geometry (ωB97M-V/def2-TZVPD, the OMol25 dataset).

Properties
LUMO level   0.0145 Eh
Energy relative to the best compared isomer or geometry (same formula, charge and spin)   63.3 kcal/mol
Orbital gap   8.929 eV
Net charge   0

Last column: Löwdin charge in e.
Positions of all 22 atoms, in Å:
B  -0.002  0.446  0.131  -0.068
C  -1.794  -1.217  -0.752  -0.086